# Contents
+++
{"formula": "C16H31INO5S2", "method": "ωB97M-V with the def2-TZVPD basis set", "homo_lumo_gap_ha": 0.3179, "energy_ev": -58594.817, "charge": -1, "e_homo_ev": -6.2, "elements": ["N", "H", "C", "O", "H", "H", "H", "C", "H", "H", "C", "H", "H", "H", "C", "O", "H", "C", "O", "H", "H", "H", "I", "H", "H", "H", "H", "H", "S", "C", "H", "C", "H", "C", "C", "H", "C", "C", "O", "S", "H", "H", "H", "H", "H", "O", "C", "H", "H", "H", "C", "H", "C", "H", "C", "C"], "coordinates": [[-0.941719, 2.935874, 3.296258], [1.571674, -0.076866, 4.933361], [0.057988, 5.441716, 2.758091], [-2.519384, 3.805281, 5.070006], [3.619082, -0.908427, 3.813367], [2.964355, -0.957039, -2.294365], [2.107578, 0.380720, -1.536368], [-3.545714, -3.361270, -3.899841], [-4.299944, -5.077431, -5.036270], [3.497621, -1.628568, -0.193750], [0.238414, -0.293154, -3.219966], [2.960569, 0.937537, 5.078279], [0.208604, -1.301268, -5.117283], [-3.105025, -1.454849, -4.726517], [2.227025, 0.569130, 4.366432], [1.247807, 5.566375, 2.979012], [2.604634, -1.930432, 2.162531], [-1.032498, 5.484389, 3.819014], [-0.153221, 3.777353, 5.579231], [2.911137, 0.453647, 0.795497], [3.701479, 0.484771, 2.805479], [1.003185, 0.324020, -3.679160], [-0.686464, 5.176824, 0.719046], [1.213642, 0.149698, 0.647802], [-2.446186, -2.797229, -5.681265], [1.849053, -2.214688, -0.129471], [-4.075284, -2.782141, -3.152875], [1.966489, 2.293057, 3.044579], [-1.180161, 3.837759, 4.572945], [2.457788, -1.321371, -0.234253], [-4.720702, -3.506387, -5.714460], [-1.300973, -2.247513, -3.919910], [1.502403, 2.530606, 4.692584], [-4.579956, -4.060060, -4.796378], [2.160993, -0.325539, 0.876465], [-1.954641, 5.740743, 3.319771], [2.146230, -0.950007, 2.272071], [-2.620357, -2.425815, -4.678129], [-0.320479, 0.782970, 2.332140], [-0.246439, 1.514689, 3.566165], [-0.705034, -3.131010, -4.128885], [-1.541621, -2.231976, -2.866741], [-0.478983, 0.368113, -2.744855], [-2.962095, -4.113542, -3.379480], [-0.786240, 6.201729, 4.585888], [-0.766450, 0.819795, 4.706542], [-0.511166, -1.015324, -4.358037], [-1.186927, -0.299691, -4.819719], [-5.536261, -4.106639, -4.286192], [0.178645, -1.471229, -1.417882], [1.480850, 1.812807, 3.883326], [1.145743, -2.151994, -2.756336], [3.000719, -0.180203, 3.292684], [1.139399, -1.115803, 2.624089], [2.167473, -0.699664, -1.605011], [0.873349, -1.252470, -2.219257]], "forces_ev_per_a": [[0.40, -0.03, 0.57], [-0.30, -0.25, 0.00], [2.59, 0.43, 1.04], [-0.87, 0.01, 0.13], [0.19, -0.13, 0.16], [0.31, 0.23, -0.23], [0.08, 0.28, 0.10], [-0.27, -0.27, -0.75], [0.17, -0.20, -0.19], [0.28, -0.18, 0.19], [-0.45, -0.51, -0.53], [0.18, 0.02, 0.26], [0.15, -0.11, -0.28], [-0.15, 0.19, -0.37], [0.51, 0.53, -0.35], [-2.81, -0.33, -0.76], [0.04, -0.32, 0.04], [0.38, -0.29, -1.28], [0.58, 0.02, 0.18], [0.21, 0.28, 0.15], [0.11, 0.31, -0.28], [0.20, 0.26, 0.00], [0.20, 0.10, 0.22], [-0.26, 0.14, 0.16], [0.03, -0.01, -0.31], [-0.09, -0.26, 0.16], [0.04, 0.12, 0.31], [-0.12, -0.04, -0.50], [-0.19, 0.46, 0.02], [0.01, 0.46, -0.37], [-0.11, 0.11, -0.31], [-0.28, 0.10, -0.91], [-0.24, 0.26, 0.14], [-0.05, 0.21, 0.53], [-0.41, -0.33, -0.20], [-0.37, -0.08, 0.13], [1.00, 0.15, -0.42], [0.17, -0.04, 0.98], [-0.07, -0.09, -0.76], [0.06, -0.27, -0.85], [0.15, -0.28, 0.36], [0.10, 0.12, 0.41], [0.06, 0.21, 0.38], [0.15, -0.11, 0.19], [0.19, 0.08, 0.30], [-0.19, -0.04, 0.85], [0.14, 0.19, 0.45], [-0.11, 0.12, -0.18], [-0.26, -0.10, -0.01], [-0.23, -0.28, 0.09], [-0.01, 0.07, 0.75], [-0.16, -0.55, 0.11], [-0.61, -0.74, 0.56], [-0.29, 0.13, 0.11], [-0.28, -0.68, -0.07], [0.46, 0.91, -0.11]]}

~~~~~

Record 1
Entry from OMol25: an isolated molecule of C3H7NO2S in a non-equilibrium geometry (wB97M-V/def2-TZVPD).

```
14
Properties=species:S:1:pos:R:3:lowdin_charge:R:1
C -0.533 0.726 -0.012 -0.241
C -1.188 -0.650 0.187 -0.516
S -2.759 -0.572 1.138 0.687
N 0.915 0.705 0.216 0.057
C 1.692 0.151 -0.764 -0.630
O 2.613 -0.696 -0.283 0.118
O 1.460 0.336 -1.934 0.094
H -0.969 1.469 0.639 0.090
H -0.667 1.069 -1.032 0.117
+++

# Work order
Type out the calculation results above exactly.

# Written answer
{"formula": "C16H31INO5S2", "method": "ωB97M-V with the def2-TZVPD basis set", "homo_lumo_gap_ha": 0.3179, "energy_ev": -58594.817, "charge": -1, "e_homo_ev": -6.2, "elements": ["N", "H", "C", "O", "H", "H", "H", "C", "H", "H", "C", "H", "H", "H", "C", "O", "H", "C", "O", "H", "H", "H", "I", "H", "H", "H", "H", "H", "S", "C", "H", "C", "H", "C", "C", "H", "C", "C", "O", "S", "H", "H", "H", "H", "H", "O", "C", "H", "H", "H", "C", "H", "C", "H", "C", "C"], "coordinates": [[-0.941719, 2.935874, 3.296258], [1.571674, -0.076866, 4.933361], [0.057988, 5.441716, 2.758091], [-2.519384, 3.805281, 5.070006], [3.619082, -0.908427, 3.813367], [2.964355, -0.957039, -2.294365], [2.107578, 0.380720, -1.536368], [-3.545714, -3.361270, -3.899841], [-4.299944, -5.077431, -5.036270], [3.497621, -1.628568, -0.193750], [0.238414, -0.293154, -3.219966], [2.960569, 0.937537, 5.078279], [0.208604, -1.301268, -5.117283], [-3.105025, -1.454849, -4.726517], [2.227025, 0.569130, 4.366432], [1.247807, 5.566375, 2.979012], [2.604634, -1.930432, 2.162531], [-1.032498, 5.484389, 3.819014], [-0.153221, 3.777353, 5.579231], [2.911137, 0.453647, 0.795497], [3.701479, 0.484771, 2.805479], [1.003185, 0.324020, -3.679160], [-0.686464, 5.176824, 0.719046], [1.213642, 0.149698, 0.647802], [-2.446186, -2.797229, -5.681265], [1.849053, -2.214688, -0.129471], [-4.075284, -2.782141, -3.152875], [1.966489, 2.293057, 3.044579], [-1.180161, 3.837759, 4.572945], [2.457788, -1.321371, -0.234253], [-4.720702, -3.506387, -5.714460], [-1.300973, -2.247513, -3.919910], [1.502403, 2.530606, 4.692584], [-4.579956, -4.060060, -4.796378], [2.160993, -0.325539, 0.876465], [-1.954641, 5.740743, 3.319771], [2.146230, -0.950007, 2.272071], [-2.620357, -2.425815, -4.678129], [-0.320479, 0.782970, 2.332140], [-0.246439, 1.514689, 3.566165], [-0.705034, -3.131010, -4.128885], [-1.541621, -2.231976, -2.866741], [-0.478983, 0.368113, -2.744855], [-2.962095, -4.113542, -3.379480], [-0.786240, 6.201729, 4.585888], [-0.766450, 0.819795, 4.706542], [-0.511166, -1.015324, -4.358037], [-1.186927, -0.299691, -4.819719], [-5.536261, -4.106639, -4.286192], [0.178645, -1.471229, -1.417882], [1.480850, 1.812807, 3.883326], [1.145743, -2.151994, -2.756336], [3.000719, -0.180203, 3.292684], [1.139399, -1.115803, 2.624089], [2.167473, -0.699664, -1.605011], [0.873349, -1.252470, -2.219257]], "forces_ev_per_a": [[0.40, -0.03, 0.57], [-0.30, -0.25, 0.00], [2.59, 0.43, 1.04], [-0.87, 0.01, 0.13], [0.19, -0.13, 0.16], [0.31, 0.23, -0.23], [0.08, 0.28, 0.10], [-0.27, -0.27, -0.75], [0.17, -0.20, -0.19], [0.28, -0.18, 0.19], [-0.45, -0.51, -0.53], [0.18, 0.02, 0.26], [0.15, -0.11, -0.28], [-0.15, 0.19, -0.37], [0.51, 0.53, -0.35], [-2.81, -0.33, -0.76], [0.04, -0.32, 0.04], [0.38, -0.29, -1.28], [0.58, 0.02, 0.18], [0.21, 0.28, 0.15], [0.11, 0.31, -0.28], [0.20, 0.26, 0.00], [0.20, 0.10, 0.22], [-0.26, 0.14, 0.16], [0.03, -0.01, -0.31], [-0.09, -0.26, 0.16], [0.04, 0.12, 0.31], [-0.12, -0.04, -0.50], [-0.19, 0.46, 0.02], [0.01, 0.46, -0.37], [-0.11, 0.11, -0.31], [-0.28, 0.10, -0.91], [-0.24, 0.26, 0.14], [-0.05, 0.21, 0.53], [-0.41, -0.33, -0.20], [-0.37, -0.08, 0.13], [1.00, 0.15, -0.42], [0.17, -0.04, 0.98], [-0.07, -0.09, -0.76], [0.06, -0.27, -0.85], [0.15, -0.28, 0.36], [0.10, 0.12, 0.41], [0.06, 0.21, 0.38], [0.15, -0.11, 0.19], [0.19, 0.08, 0.30], [-0.19, -0.04, 0.85], [0.14, 0.19, 0.45], [-0.11, 0.12, -0.18], [-0.26, -0.10, -0.01], [-0.23, -0.28, 0.09], [-0.01, 0.07, 0.75], [-0.16, -0.55, 0.11], [-0.61, -0.74, 0.56], [-0.29, 0.13, 0.11], [-0.28, -0.68, -0.07], [0.46, 0.91, -0.11]]}

~~~~~

Record 1
Entry from OMol25: an isolated molecule of C3H7NO2S in a non-equilibrium geometry (wB97M-V/def2-TZVPD).

```
14
Properties=species:S:1:pos:R:3:lowdin_charge:R:1
C -0.533 0.726 -0.012 -0.241
C -1.188 -0.650 0.187 -0.516
S -2.759 -0.572 1.138 0.687
N 0.915 0.705 0.216 0.057
C 1.692 0.151 -0.764 -0.630
O 2.613 -0.696 -0.283 0.118
O 1.460 0.336 -1.934 0.094
H -0.969 1.469 0.639 0.090
H -0.667 1.069 -1.032 0.117